Features of User Meta Pro: WordPress User Management Plugin
User Registration:
- Register users on front-end
- Front-end user registration by shortcode, Widget and Template Tag.
[Someone pasted quantum chemistry results at this point]
********
# 1
C40H90F2KN6O4S2 as an isolated structure at a distorted geometry. Source: the OMol25 dataset; level of theory: the ωB97M-V functional and the def2-TZVPD basis.

The geometry in ORCA input format:
```
! RIJCOSX wB97M-V def2-TZVPD def2/J DEFGRID3
* xyz 4 2
H -4.965 1.999 -8.492
N 5.955 -3.562 -2.455
H -6.589 5.065 4.012
H -3.180 -1.818 0.902
H -2.288 -0.251 -6.404
H -3.071 1.757 3.468
H -2.792 4.260 2.074
H -0.905 0.916 4.616
H -2.443 3.458 -6.750
C -4.672 5.297 4.772
C -2.823 -2.629 0.268
H 4.977 1.592 8.064
H -4.434 -4.435 -0.263
H -6.438 6.497 4.974
H -2.408 1.436 5.547
H -1.609 -3.500 -1.854
H -1.766 -2.411 0.112
C -3.745 -1.517 -1.969
N -2.628 3.812 4.161
C -3.089 -1.655 -3.312
H -0.352 1.863 -4.776
H 2.491 0.909 6.478
H -4.257 3.302 5.298
F -0.850 -1.411 2.419
H 2.587 2.158 9.059
C -5.037 2.945 -6.149
H 7.941 -3.345 -3.064
H -2.926 2.066 -4.028
C 7.059 -4.854 -4.457
H -1.541 2.319 2.931
H -4.902 3.855 -6.735
C -1.533 1.734 4.969
H 6.213 1.220 3.065
C 7.816 -4.577 -5.749
C -5.908 -2.823 -0.150
H 5.134 -1.609 3.786
H -5.632 -3.017 0.887
C 3.746 -2.758 -1.808
H 8.567 -3.842 -5.459
H -4.352 5.953 3.963
O 0.855 0.307 2.845
H 2.582 1.461 3.948
C -1.743 4.067 5.411
H -2.479 4.150 6.211
H 4.796 -2.303 0.006
H 7.346 -4.171 -6.645
C 4.504 -3.540 -2.822
C 6.113 -2.191 -1.683
H -2.302 5.723 3.024
H 6.269 0.992 6.096
H -5.089 -3.956 -1.899
H -3.433 -1.404 -6.818
C -0.741 2.764 -4.300
H 7.380 -4.764 -1.338
C 5.769 1.400 5.217
H -1.353 5.081 5.314
H -3.253 2.390 -8.553
H 4.154 -4.551 -3.032
H 6.042 -5.096 -4.767
H -0.142 3.562 -4.739
H -4.312 -0.536 -8.763
H 4.547 -0.062 7.948
C 6.046 0.551 3.909
K -1.467 2.324 -0.156
H -4.602 3.441 3.524
C -7.338 -3.281 -0.457
C 6.296 -4.727 -1.447
H 2.868 -2.200 -2.131
C -2.253 4.637 2.943
H -6.532 4.901 5.799
H -3.470 -3.713 -4.124
C -2.749 -3.069 -3.621
H 3.481 2.471 6.621
C -2.217 2.355 3.786
H 3.539 1.054 10.061
C 4.940 -0.537 3.835
H -3.867 0.590 -4.786
C 6.982 -3.522 -3.553
C -3.301 -0.322 -6.801
C -4.811 -3.632 -0.896
H 3.044 -0.656 4.847
H -4.196 5.732 5.651
C -4.142 3.905 4.397
H 6.524 -1.419 -2.335
C -2.316 2.790 -4.567
C -2.624 -3.714 -2.190
H -0.568 2.801 -3.224
O 0.394 -1.919 -1.123
H -7.295 -4.338 -0.719
C -3.980 1.691 -8.140
H -4.958 3.258 -5.108
H -5.217 0.189 -5.921
H -4.804 -1.539 -2.225
H 7.027 0.076 3.914
H -0.362 2.867 6.598
C 4.045 -0.272 5.042
H -7.885 -2.660 -1.166
H 2.360 0.395 9.120
H 8.280 -5.455 -6.199
H -1.745 -3.083 -4.045
H 0.123 3.111 5.023
H 6.976 -2.351 -1.036
H 5.951 2.467 5.087
C -2.626 2.625 -6.071
H -3.346 -0.619 -1.496
H 3.321 -3.467 -1.098
N 4.232 1.209 5.275
C -3.586 0.123 -8.288
C 3.452 2.078 4.173
F -0.171 0.254 -1.752
O 1.309 -1.767 1.592
H -5.775 -1.751 -0.294
H 6.892 -2.631 -4.174
C 4.111 0.936 7.973
C 4.791 -2.004 -1.042
H 4.491 -0.956 -1.050
H -2.875 3.659 -4.219
C -6.152 5.445 4.935
H -3.926 -1.308 -3.918
H 4.002 2.162 3.235
H -7.902 -3.174 0.470
H -2.677 0.113 -8.890
C -4.177 0.502 -5.828
N -0.427 -0.104 0.677
N -3.478 -2.811 -1.127
C 3.098 1.196 9.074
********
- Fields and forms editor to customize front-end user registration.
- Create unlimited forms for custom user registration.
- Add extra fields to custom user registration.
- Show user avatar in registration page (both ajax and non ajax).
- Different registration forms for different roles
- Allows user registration without a username, just email.
User Profile:
- Build user profile with drag-and-drop fields then show that profile at front-end or backend.
- Fields and forms editor to customize front-end user profile.
- Create unlimited forms for custom user profile.
- Add extra fields to custom user profile.
- Role based user profile on front-end
- User profile at front-end using shortcode, widget or template tag.
- Allows user to update their profile on front-end.
- Extra fields to backend user profile
- Hide unnecessary fields from backend profile.
- Show user avatar in profile page (both ajax and non ajax).
- Add profile link to users listing page.
User Login:
- Ready to use login facilities with several configurations.
- Login user in front-end (login shortcode, login widget or template tag for front-end login.)
- Forget Password and Reset Password options in front-end.
- Customize the whole login page with extra fields.
- Login users with username, email or both username/email.
- Show role based data after login.
- Disable access to wp-login.php.
- Auto user login after registration.
User Import & Export:
- Bulk users import/export from/to csv file with extra fields.
- Customize, filter, or change user order while exporting users.
- User import/export with hashed or plain text password.
- Filter users with role or date for importing or exporting.
- Create several export templates with different settings.
- Map fields from csv to your site to import.
- Import only new users or update existing user’s data.
- Send bulk email while importing new users.
Email Notification:
- Customize emails sent from your WordPress site. Add default field or extra fields content to each email.
- Modify default email sender information.
- Email verification on registration.
- Change email sender information for certain types of email.
- User email verification before accessing site.
- Include any extra field’s data to email with placeholder.
- Send user custom email while they are registering.
- Send email notification to admin with custom fields.
- Admin email notification if user updates profile.
- Customize lost password, email verification, user activation or deactivation email.
Admin Approval :
- Admin approval on user registration.
- Admin can activate or deactivate any user from user listing page.
Role based redirection after user login, logout and registration.
Supported fields for form builder:
- Username
- Password
- Website
- Display Name
- Nick Name
- First Name
- Last Name
- Biographical Info
- Registration Date
- Role
- Jabber
- Aim
- Yim
- User Avatar
- TextBox
- Paragraph
- Rich Text
- Hidden Field
- DropDown
- Multi select
- CheckBox
- Select One (radio)
- Date /Time
- Password
- File Upload
- Image Url
- Phone Number
- Number
- Website
- Country
- Custom Field
- Page Heading
- Section Heading
- Captcha
Field’s Features:
- Unlimited number of fields.
- Completely configurable.
- Retrieve all user data by meta key.
- A shared field can be used in more than one forms.
- Conditional logic to show/hide a field to/from some specific users.
- Apply regex in password field.
- Shortcode for showing a single field.
- Show user’s data by field content shortcode.
- Pagination to subdivide long form.
- Control field outlook with field container class, field container style and input class.
And many more…..
Aren’t these mouth watering? A full pack of features in a single plugin.
So, why don’t you get it now!!!
Get User Meta Pro.